Pelvic floor exercises are one of the first line of treatment methods for stress incontinence or urinary incontinence. These exercises are also recommended for women during their pregnancy.
Pelvic floor exercises are also known as pelvic muscle training or Kegel exercises. Kegel was the name of the obstetrician, who developed these exercises. These exercises help in making the pelvic floor stronger and the person is able to tighten these muscles before the pressure increases on the abdominal muscles. The pelvic muscles are also toned with these exercises, which reduces the risk of incontinence and similar problems at old age. Kegel exercises are also said to be beneficial during childbirth. Learning Kegel exercises can be tricky for a lot of people because they may tend to use the wrong muscles to do these exercises.
Exercises for the Pelvic Muscles
These exercises can be done anywhere and anytime, however it is better to learn the exercise by sitting on the toilet seat. When you do the exercise, make sure your feet are placed flat on the floor, but there is some distance between the feet. While urinating, try to stop the flow of the urine. With this, you will be able to identify the muscles, which are to be used. Similarly you will have to tighten the muscles around your anus, as if you were trying to stop the passage of gas. However, remember not to do this too often, as you can start retaining urine, which can be harmful for your health.
When you start doing these exercises, you should place your hands on your abdomen and buttocks, just to ensure, you do not feel your belly, thighs, or buttocks moving. If you feel any of them moving, then it is an indication that you are using the wrong muscles. It is important to continue breathing when you are doing this exercise. As a matter of fact, you should be able to have a conversation, when you are doing the exercises. Make sure you do not squeeze your legs together or tighten your tummy, thighs, or buttocks. Men and women both, can do these exercises because they are similar for both the sexes. The ways to perform these exercises have been mentioned in the following sections, take a look.
Slow Contractions
Slow contractions help in strengthening the pelvic floor and also help the muscles to hold back the urine.
'''
Record 1
Formula: CdH49O29P
Source: the Open Molecules 2025 dataset
Level of theory: ωB97M-V/def2-TZVPD

Results
**Lowest unoccupied orbital energy**: 3.987 eV
**HOMO level**: -0.181 hartree

```
! RIJCOSX wB97M-V def2-TZVPD def2/J DEFGRID3
* xyz -2 1
Cd 1.105 -0.895 0.517
O 3.201 -0.853 0.458
H 3.524 -1.766 0.330
P -1.393 -0.156 -0.578
O -2.601 0.390 0.217
O -0.120 0.758 -0.288
O -1.542 -0.330 -2.094
O -0.944 -1.527 0.043
O 0.910 -1.261 -2.601
H 1.484 -0.567 -2.874
H 0.083 -0.920 -2.298
O 5.004 2.819 3.282
H 4.389 2.641 2.555
H 5.367 3.704 3.155
O 0.064 -0.073 2.470
H 0.076 0.840 2.896
H -0.718 0.035 1.913
O 0.479 3.084 0.027
H 0.756 3.784 -0.533
H 0.241 2.203 -0.390
O 3.063 3.061 0.762
H 2.027 2.931 0.915
H 3.381 2.527 0.128
O 1.646 -3.236 1.875
H 0.781 -2.998 2.316
H 2.427 -2.727 2.193
O 2.045 -7.402 0.960
H 2.218 -7.198 1.862
H 2.314 -6.619 0.450
O 2.790 -4.721 -0.335
H 2.281 -4.179 0.264
H 2.876 -4.161 -1.107
O -1.944 1.979 4.196
H -2.214 2.851 3.920
H -2.429 1.329 3.716
O -5.120 -0.540 -0.017
H -4.793 -1.377 0.176
H -4.341 -0.028 0.061
O 2.121 -3.673 -3.459
H 1.438 -3.937 -4.056
H 1.637 -2.890 -3.042
O 4.800 5.317 0.142
H 4.035 4.726 0.451
H 5.506 4.727 0.556
O -6.190 -2.206 -4.549
H -5.607 -1.755 -3.839
H -6.052 -3.149 -4.497
O -4.493 -0.877 -2.695
H -3.514 -0.974 -2.620
H -4.811 -1.231 -1.878
O -4.404 4.035 2.237
H -3.642 3.676 1.671
H -5.211 3.765 1.840
O -2.786 -0.428 2.836
H -2.680 -0.067 1.941
H -3.765 -0.456 2.964
O -0.765 -2.722 2.797
H -1.171 -1.895 3.079
H -1.211 -3.195 2.087
O -0.635 1.539 -3.894
H -0.740 0.755 -3.391
H -1.180 2.311 -3.454
O -2.136 3.085 0.574
H -1.173 3.292 0.628
H -2.330 2.222 0.191
O -2.986 2.760 -2.651
H -3.354 3.094 -1.847
H -3.248 1.835 -2.567
O -2.769 -3.422 -0.004
H -2.155 -2.610 0.041
H -2.182 -4.144 -0.363
O 1.900 1.455 -4.393
H 0.924 1.732 -4.191
H 2.022 0.940 -5.160
O 3.440 1.124 -1.343
H 3.576 0.885 -2.210
H 3.536 0.315 -0.850
O 7.011 1.561 4.910
H 6.581 2.055 4.157
H 6.291 1.023 5.309
*
```

=====

Record 2
Formula: C15H19FN4O5S2
Source: the Open Molecules 2025 dataset
Level of theory: ωB97M-V/def2-TZVPD

Results
**Structure (SMILES)**: CNS(=O)(=O)c1cn(CC(=O)NCc2ccc(F)cc2)cc1S(=O)(=O)NC
**Energy relative to the best compared isomer or geometry (same formula, charge and spin)**: 0.0 kcal/mol
**Lowest unoccupied orbital energy**: 0.422 eV
**HOMO level**: -0.350 hartree

```
! RIJCOSX wB97M-V def2-TZVPD def2/J DEFGRID3
* xyz 0 1
C 0.360 2.264 1.436
N 1.685 2.423 0.886
S 1.841 1.976 -0.690
O 0.830 2.643 -1.455
O 3.216 2.151 -1.064
C 1.462 0.243 -0.754
C 0.362 -0.333 -1.338
N 0.422 -1.679 -1.139
C -0.619 -2.606 -1.474
C -1.739 -2.706 -0.411
O -2.448 -3.682 -0.352
N -1.836 -1.642 0.404
C -2.893 -1.512 1.392
C -3.935 -0.533 0.915
C -3.807 0.823 1.189
C -4.737 1.730 0.713
C -5.792 1.260 -0.047
F -6.704 2.135 -0.513
C -5.939 -0.084 -0.344
C -5.000 -0.976 0.140
C 1.539 -1.969 -0.424
C 2.213 -0.800 -0.172
S 3.719 -0.569 0.723
O 4.146 -1.829 1.251
O 3.477 0.490 1.678
N 4.743 -0.119 -0.492
C 6.155 -0.197 -0.172
'''
**So much for the calculated molecules:**
- Lift the muscles and count till ten.
- Then tighten the muscles and hold the muscles again for 10 seconds.
- When you first perform the exercise, you will notice, that you may not be able to hold the contraction for more than 3 to 4 seconds.
- At such times, you will have to concentrate on lifting the pelvic muscles and then hold the contractions as long as you can.
- Over a period, you will be able to increase the time of contractions.
- After one cycle, let the muscles rest for about 10 seconds and then repeat the exercise again, for at least 10 times.
Fast Contractions
This pelvic exercise can be practiced by women during pregnancy. It helps the pelvic floor to cope up with the constant pressure it is subjected to. This exercise works the muscles, which quickly shut off the flow of urine.
- Now that you know which are the muscles to be worked on, lift them quickly.
- Hold the contraction for two seconds.
- Relax the muscles and rest for one second.
- Repeat the contraction again. You will have to repeat this exercise at least 10 times.
These exercises can be repeated for one set of slow contractions and one set of fast contractions about 5 to 6 times a day. To reap benefits from these exercises, you will have to perform them regularly and diligently. It may take as long as 8 to 10 weeks for you to see the effects of your practice. If you do not see any changes, then it is recommended, you talk to your health care professional about the same.